## Source
- - -
{
  "formula": "PmTh6N8",
  "functional": "GGA-PBE",
  "state": "optimized geometry",
  "e_form_raw_ev_per_atom": -1.390,
  "sg": "Fm-3m",
  "lattice_angstrom": [[0.000, 5.138, 5.138], [5.138, 0.000, 5.138], [5.138, 5.138, 0.000]],
  "species": ["Pm", "Th", "Th", "Th", "Th", "Th", "Th", "N", "N", "N", "N", "N", "N", "N", "N"],
  "fractional_positions": [[0.000, 0.000, 0.000], [0.000, 0.000, 0.500], [0.000, 0.500, 0.000], [0.000, 0.500, 0.500], [0.500, 0.000, 0.000], [0.500, 0.000, 0.500], [0.500, 0.500, 0.000], [0.237, 0.237, 0.763], [0.237, 0.763, 0.237], [0.237, 0.763, 0.763], [0.250, 0.250, 0.250], [0.750, 0.750, 0.750], [0.763, 0.237, 0.237], [0.763, 0.237, 0.763], [0.763, 0.763, 0.237]]
}

* * * * *

Entry from the Alexandria database: a relaxed structure of La3DyTm2Se6 (PBE).

Output
The calculation puts the total magnetization at 0.0 μB per cell. As for the total energy: -71.52 eV for the cell shown.

Cell: 7.1341 7.1341 7.3998 Å, 99.24 99.24 120.16°
With the nearest neighbours (Å) after each atom.
Fractional coordinates of all 12 atoms:
La: 0.0000 0.0000 0.0000  6 Se 3.03-3.06
La: 0.3351 0.6649 0.0000  6 Se 3.04-3.06
La: 0.6649 0.3351 0.0000  6 Se 3.04-3.06
Dy: 0.5000 0.5000 0.5000  6 Se 2.88
Tm: 0.1665 0.8335 0.5000  6 Se 2.84-2.85
Tm: 0.8335 0.1665 0.5000  6 Se 2.84-2.85
Se: 0.0874 0.4244 0.2727  2 Tm 2.85, 1 Dy 2.88, 3 La 3.04-3.06
Se: 0.2383 0.2383 0.7260  2 Tm 2.84, 1 Dy 2.88, 3 La 3.03-3.05
Se: 0.4244 0.0874 0.2727  2 Tm 2.85, 1 Dy 2.88, 3 La 3.04-3.06
Se: 0.5756 0.9126 0.7273  2 Tm 2.85, 1 Dy 2.88, 3 La 3.04-3.06
Se: 0.7617 0.7617 0.2740  2 Tm 2.84, 1 Dy 2.88, 3 La 3.03-3.05
Se: 0.9126 0.5756 0.7273  2 Tm 2.85, 1 Dy 2.88, 3 La 3.04-3.06

---

Entry from the Alexandria database: a relaxed structure of Tb5Tl2Pb2 (PBE).

Output
Its energy of formation is -0.4386 eV per atom. The calculation puts the total magnetization at 0.0 μB per cell.

Cell: 8.9519 8.9519 8.1673 Å, 90.00 90.00 55.02°
With the nearest neighbours (Å) after each atom.
Fractional coordinates of all 18 atoms:
Tb: 0.0000 0.0000 0.0000  4 Tl 3.21-3.24, 2 Pb 3.30
Tb: 0.0362 0.6885 0.6704  3 Pb 3.16-3.25, 3 Tl 3.17-3.35
Tb: 0.1885 0.5362 0.1704  3 Pb 3.16-3.25, 3 Tl 3.17-3.35
Tb: 0.3115 0.9638 0.6704  3 Pb 3.16-3.25, 3 Tl 3.17-3.35
Tb: 0.4638 0.8115 0.1704  3 Pb 3.16-3.25, 3 Tl 3.17-3.35
Tb: 0.5000 0.5000 0.5000  4 Tl 3.21-3.24, 2 Pb 3.30
Tb: 0.5362 0.1885 0.8296  3 Pb 3.16-3.25, 3 Tl 3.17-3.35
Tb: 0.6885 0.0362 0.3296  3 Pb 3.16-3.25, 3 Tl 3.17-3.35
Tb: 0.8115 0.4638 0.8296  3 Pb 3.16-3.25, 3 Tl 3.17-3.35
Tb: 0.9638 0.3115 0.3296  3 Pb 3.16-3.25, 3 Tl 3.17-3.35
Tl: 0.1298 0.8702 0.3699  1 Tl 3.02, 8 Tb 3.17-3.35
Tl: 0.3702 0.6298 0.8699  1 Tl 3.02, 8 Tb 3.17-3.35
Tl: 0.6298 0.3702 0.1301  1 Tl 3.02, 8 Tb 3.17-3.35
Tl: 0.8702 0.1298 0.6301  1 Tl 3.02, 8 Tb 3.17-3.35
Pb: 0.2080 0.2080 0.0000  7 Tb 3.16-3.30
Pb: 0.2920 0.2920 0.5000  7 Tb 3.16-3.30
Pb: 0.7080 0.7080 0.5000  7 Tb 3.16-3.30
Pb: 0.7920 0.7920 0.0000  7 Tb 3.16-3.30

---

Entry from the Alexandria database: a relaxed structure of ZrMo3Pt (PBE).

Output
Its energy of formation is 1.4031 eV per atom. As for the distance to the lowest polymorph of the same formula: 0 meV/atom. The calculation puts the total magnetization at 0.0 μB per cell.

Cell: 4.7810 4.7810 4.7810 Å, 90.00 90.00 90.00°
With the nearest neighbours (Å) after each atom.
Fractional coordinates of all 5 atoms:
Zr: 0.0000 0.0000 0.0000  12 Mo 3.38
Mo: 0.0000 0.5000 0.5000  2 Pt 2.39
Mo: 0.5000 0.0000 0.5000  2 Pt 2.39
Mo: 0.5000 0.5000 0.0000  2 Pt 2.39
Pt: 0.5000 0.5000 0.5000  6 Mo 2.39

---

Entry from the Alexandria database: a relaxed structure of LiLuNiIr (PBE).

Output
Its energy of formation is -0.3419 eV per atom. The calculation puts the total magnetization at 0.0 μB per cell.

Cell: 4.4594 4.4594 4.4594 Å, 60.00 60.00 60.00°
With the nearest neighbours (Å) after each atom.
Fractional coordinates of all 4 atoms:
Li: 0.0000 0.0000 0.0000  4 Ni 2.73, 4 Ir 2.73
Lu: 0.5000 0.5000 0.5000  4 Ni 2.73, 4 Ir 2.73
- - -

## Request
What is needed: write out the notes further up from the first line to the one with "0.7080 0.5000" with every line break kept.

## Solution
{
  "formula": "PmTh6N8",
  "functional": "GGA-PBE",
  "state": "optimized geometry",
  "e_form_raw_ev_per_atom": -1.390,
  "sg": "Fm-3m",
  "lattice_angstrom": [[0.000, 5.138, 5.138], [5.138, 0.000, 5.138], [5.138, 5.138, 0.000]],
  "species": ["Pm", "Th", "Th", "Th", "Th", "Th", "Th", "N", "N", "N", "N", "N", "N", "N", "N"],
  "fractional_positions": [[0.000, 0.000, 0.000], [0.000, 0.000, 0.500], [0.000, 0.500, 0.000], [0.000, 0.500, 0.500], [0.500, 0.000, 0.000], [0.500, 0.000, 0.500], [0.500, 0.500, 0.000], [0.237, 0.237, 0.763], [0.237, 0.763, 0.237], [0.237, 0.763, 0.763], [0.250, 0.250, 0.250], [0.750, 0.750, 0.750], [0.763, 0.237, 0.237], [0.763, 0.237, 0.763], [0.763, 0.763, 0.237]]
}

* * * * *

Entry from the Alexandria database: a relaxed structure of La3DyTm2Se6 (PBE).

Output
The calculation puts the total magnetization at 0.0 μB per cell. As for the total energy: -71.52 eV for the cell shown.

Cell: 7.1341 7.1341 7.3998 Å, 99.24 99.24 120.16°
With the nearest neighbours (Å) after each atom.
Fractional coordinates of all 12 atoms:
La: 0.0000 0.0000 0.0000  6 Se 3.03-3.06
La: 0.3351 0.6649 0.0000  6 Se 3.04-3.06
La: 0.6649 0.3351 0.0000  6 Se 3.04-3.06
Dy: 0.5000 0.5000 0.5000  6 Se 2.88
Tm: 0.1665 0.8335 0.5000  6 Se 2.84-2.85
Tm: 0.8335 0.1665 0.5000  6 Se 2.84-2.85
Se: 0.0874 0.4244 0.2727  2 Tm 2.85, 1 Dy 2.88, 3 La 3.04-3.06
Se: 0.2383 0.2383 0.7260  2 Tm 2.84, 1 Dy 2.88, 3 La 3.03-3.05
Se: 0.4244 0.0874 0.2727  2 Tm 2.85, 1 Dy 2.88, 3 La 3.04-3.06
Se: 0.5756 0.9126 0.7273  2 Tm 2.85, 1 Dy 2.88, 3 La 3.04-3.06
Se: 0.7617 0.7617 0.2740  2 Tm 2.84, 1 Dy 2.88, 3 La 3.03-3.05
Se: 0.9126 0.5756 0.7273  2 Tm 2.85, 1 Dy 2.88, 3 La 3.04-3.06

---

Entry from the Alexandria database: a relaxed structure of Tb5Tl2Pb2 (PBE).

Output
Its energy of formation is -0.4386 eV per atom. The calculation puts the total magnetization at 0.0 μB per cell.

Cell: 8.9519 8.9519 8.1673 Å, 90.00 90.00 55.02°
With the nearest neighbours (Å) after each atom.
Fractional coordinates of all 18 atoms:
Tb: 0.0000 0.0000 0.0000  4 Tl 3.21-3.24, 2 Pb 3.30
Tb: 0.0362 0.6885 0.6704  3 Pb 3.16-3.25, 3 Tl 3.17-3.35
Tb: 0.1885 0.5362 0.1704  3 Pb 3.16-3.25, 3 Tl 3.17-3.35
Tb: 0.3115 0.9638 0.6704  3 Pb 3.16-3.25, 3 Tl 3.17-3.35
Tb: 0.4638 0.8115 0.1704  3 Pb 3.16-3.25, 3 Tl 3.17-3.35
Tb: 0.5000 0.5000 0.5000  4 Tl 3.21-3.24, 2 Pb 3.30
Tb: 0.5362 0.1885 0.8296  3 Pb 3.16-3.25, 3 Tl 3.17-3.35
Tb: 0.6885 0.0362 0.3296  3 Pb 3.16-3.25, 3 Tl 3.17-3.35
Tb: 0.8115 0.4638 0.8296  3 Pb 3.16-3.25, 3 Tl 3.17-3.35
Tb: 0.9638 0.3115 0.3296  3 Pb 3.16-3.25, 3 Tl 3.17-3.35
Tl: 0.1298 0.8702 0.3699  1 Tl 3.02, 8 Tb 3.17-3.35
Tl: 0.3702 0.6298 0.8699  1 Tl 3.02, 8 Tb 3.17-3.35
Tl: 0.6298 0.3702 0.1301  1 Tl 3.02, 8 Tb 3.17-3.35
Tl: 0.8702 0.1298 0.6301  1 Tl 3.02, 8 Tb 3.17-3.35
Pb: 0.2080 0.2080 0.0000  7 Tb 3.16-3.30
Pb: 0.2920 0.2920 0.5000  7 Tb 3.16-3.30
Pb: 0.7080 0.7080 0.5000  7 Tb 3.16-3.30